Contents:
____________
Entry 1:
Na2CuF4: relaxed, meta-GGA r2SCAN. Values from VASP.

Output
total energy = -96.15 eV for the cell shown
volume = 82.8 Å³/f.u.
space-group type = No. 14

```
&SYSTEM
  ibrav = 0, nat = 14, ntyp = 3
/
ATOMIC_SPECIES
Cu 63.55 Cu.upf
F 19.00 F.upf
Na 22.99 Na.upf
ATOMIC_POSITIONS crystal
Cu 0.000 0.500 0.500
Cu 0.000 0.000 0.000
F 0.988 0.375 0.693
F 0.426 0.737 0.550
F 0.012 0.125 0.193
F 0.574 0.263 0.450
F 0.426 0.237 0.950
F 0.574 0.763 0.050
F 0.988 0.875 0.807
F 0.012 0.625 0.307
Na 0.516 0.417 0.182
Na 0.484 0.083 0.682
Na 0.516 0.917 0.318
Na 0.484 0.583 0.818
CELL_PARAMETERS angstrom
-1.374 2.490 1.574
-2.002 -3.676 3.658
7.565 0.952 5.097
```


Entry 2:
Cu6OF11: relaxed, meta-GGA r2SCAN. Values from VASP.

Output
total energy = -135.53 eV for the cell shown
volume = 198.7 Å³/f.u.
space-group type = No. 1
offset from the most stable computed form = 0.06 eV per formula unit

```
&SYSTEM
  ibrav = 0, nat = 18, ntyp = 3
/
ATOMIC_SPECIES
F 19.00 F.upf
Cu 63.55 Cu.upf
O 16.00 O.upf
ATOMIC_POSITIONS crystal
F 0.127 0.420 0.427
F 0.814 0.044 0.603
F 0.519 0.310 0.719
F 0.147 0.349 0.957
F 0.868 0.587 0.556
F 0.493 0.697 0.317
F 0.531 0.261 0.233
F 0.463 0.746 0.774
F 0.180 0.968 0.384
F 0.789 0.071 0.101
F 0.217 0.916 0.909
Cu 0.827 0.357 0.305
Cu 0.675 0.670 0.683
Cu 0.502 0.997 0.010
Cu 0.330 0.335 0.340
Cu 0.163 0.659 0.672
Cu 0.992 0.980 0.002
O 0.862 0.634 0.008
CELL_PARAMETERS angstrom
2.684 -4.546 -4.697
3.231 4.526 -0.019
3.708 0.075 4.499
```


Entry 3:
Cu3OF5: relaxed, meta-GGA r2SCAN. Values from VASP.

Output
total energy = -135.97 eV for the cell shown
volume = 98.9 Å³/f.u.
space-group type = No. 2

```
&SYSTEM
  ibrav = 0, nat = 18, ntyp = 3
/
ATOMIC_SPECIES
F 19.00 F.upf
Cu 63.55 Cu.upf
O 16.00 O.upf
ATOMIC_POSITIONS crystal
F 0.019 0.719 0.323
F 0.353 0.574 0.553
F 0.647 0.426 0.447
F 0.273 0.127 0.084
F 0.006 0.233 0.205
F 0.981 0.281 0.677
F 0.348 0.081 0.617
F 0.727 0.873 0.916
F 0.994 0.767 0.795
F 0.652 0.919 0.383
Cu 0.000 0.000 0.000
Cu 0.337 0.377 0.306
Cu 0.820 0.323 0.321
Cu 0.180 0.677 0.679
Cu 0.663 0.623 0.694
Cu 0.500 0.000 0.000
O 0.652 0.331 0.987
O 0.348 0.669 0.013
CELL_PARAMETERS angstrom
6.521 -2.919 -2.411
1.273 4.684 2.660
-0.302 -0.820 5.316
```


Entry 4:
Cu6OF11: relaxed, meta-GGA r2SCAN. Values from VASP.

Output
total energy = -135.50 eV for the cell shown
volume = 199.0 Å³/f.u.
space-group type = No. 1
offset from the most stable computed form = 0.09 eV per formula unit

```
&SYSTEM
  ibrav = 0, nat = 18, ntyp = 3
/
ATOMIC_SPECIES
F 19.00 F.upf
Cu 63.55 Cu.upf
O 16.00 O.upf
ATOMIC_POSITIONS crystal
F 0.979 0.383 0.839
F 0.216 0.242 0.464
F 0.892 0.931 0.793
F 0.100 0.074 0.210
F 0.032 0.619 0.164
F 0.440 0.413 0.873
F 0.640 0.057 0.167
F 0.357 0.953 0.833
F 0.312 0.718 0.503
F 0.680 0.275 0.498
F 0.571 0.599 0.125
Cu 0.671 0.680 0.341
Cu 0.326 0.334 0.666
Cu 0.666 0.669 0.821
Cu 0.999 0.004 0.998
Cu 0.334 0.338 0.170
Cu 0.981 0.985 0.498
O 0.805 0.725 0.539
CELL_PARAMETERS angstrom
5.547 -0.052 0.027
2.082 5.452 0.021
2.013 0.979 6.570
```


Entry 5:
Cu6OF11: relaxed, meta-GGA r2SCAN. Values from VASP.

Output
total energy = -135.51 eV for the cell shown
volume = 199.8 Å³/f.u.
space-group type = No. 1
offset from the most stable computed form = 0.07 eV per formula unit

```
&SYSTEM
  ibrav = 0, nat = 18, ntyp = 3
/
ATOMIC_SPECIES
F 19.00 F.upf
Cu 63.55 Cu.upf
O 16.00 O.upf
ATOMIC_POSITIONS crystal
F 0.323 0.324 0.285
F 0.512 0.813 0.224
F 0.664 0.316 0.302
F 0.159 0.180 0.766
F 0.344 0.695 0.718
F 0.821 0.187 0.783
F 0.839 0.804 0.219
F 0.174 0.818 0.211
F 0.986 0.294 0.264
F 0.681 0.692 0.723
F 0.492 0.199 0.792
Cu 0.843 0.510 0.508
Cu 0.998 0.982 0.964
Cu 0.502 0.505 0.506
Cu 0.331 0.012 0.001
Cu 0.161 0.513 0.501
Cu 0.669 0.003 0.012
O 0.001 0.652 0.722
CELL_PARAMETERS angstrom
9.697 -0.022 -0.135
-0.010 4.552 -0.047
0.540 -0.050 4.519
```


Entry 6:
Cu6OF11: relaxed, meta-GGA r2SCAN. Values from VASP.

Output
total energy = -135.53 eV for the cell shown
____________

Work order:
Please restate the whole of the notes further up without altering anything.

Result:
Entry 1:
Na2CuF4: relaxed, meta-GGA r2SCAN. Values from VASP.

Output
total energy = -96.15 eV for the cell shown
volume = 82.8 Å³/f.u.
space-group type = No. 14

```
&SYSTEM
  ibrav = 0, nat = 14, ntyp = 3
/
ATOMIC_SPECIES
Cu 63.55 Cu.upf
F 19.00 F.upf
Na 22.99 Na.upf
ATOMIC_POSITIONS crystal
Cu 0.000 0.500 0.500
Cu 0.000 0.000 0.000
F 0.988 0.375 0.693
F 0.426 0.737 0.550
F 0.012 0.125 0.193
F 0.574 0.263 0.450
F 0.426 0.237 0.950
F 0.574 0.763 0.050
F 0.988 0.875 0.807
F 0.012 0.625 0.307
Na 0.516 0.417 0.182
Na 0.484 0.083 0.682
Na 0.516 0.917 0.318
Na 0.484 0.583 0.818
CELL_PARAMETERS angstrom
-1.374 2.490 1.574
-2.002 -3.676 3.658
7.565 0.952 5.097
```


Entry 2:
Cu6OF11: relaxed, meta-GGA r2SCAN. Values from VASP.

Output
total energy = -135.53 eV for the cell shown
volume = 198.7 Å³/f.u.
space-group type = No. 1
offset from the most stable computed form = 0.06 eV per formula unit

```
&SYSTEM
  ibrav = 0, nat = 18, ntyp = 3
/
ATOMIC_SPECIES
F 19.00 F.upf
Cu 63.55 Cu.upf
O 16.00 O.upf
ATOMIC_POSITIONS crystal
F 0.127 0.420 0.427
F 0.814 0.044 0.603
F 0.519 0.310 0.719
F 0.147 0.349 0.957
F 0.868 0.587 0.556
F 0.493 0.697 0.317
F 0.531 0.261 0.233
F 0.463 0.746 0.774
F 0.180 0.968 0.384
F 0.789 0.071 0.101
F 0.217 0.916 0.909
Cu 0.827 0.357 0.305
Cu 0.675 0.670 0.683
Cu 0.502 0.997 0.010
Cu 0.330 0.335 0.340
Cu 0.163 0.659 0.672
Cu 0.992 0.980 0.002
O 0.862 0.634 0.008
CELL_PARAMETERS angstrom
2.684 -4.546 -4.697
3.231 4.526 -0.019
3.708 0.075 4.499
```


Entry 3:
Cu3OF5: relaxed, meta-GGA r2SCAN. Values from VASP.

Output
total energy = -135.97 eV for the cell shown
volume = 98.9 Å³/f.u.
space-group type = No. 2

```
&SYSTEM
  ibrav = 0, nat = 18, ntyp = 3
/
ATOMIC_SPECIES
F 19.00 F.upf
Cu 63.55 Cu.upf
O 16.00 O.upf
ATOMIC_POSITIONS crystal
F 0.019 0.719 0.323
F 0.353 0.574 0.553
F 0.647 0.426 0.447
F 0.273 0.127 0.084
F 0.006 0.233 0.205
F 0.981 0.281 0.677
F 0.348 0.081 0.617
F 0.727 0.873 0.916
F 0.994 0.767 0.795
F 0.652 0.919 0.383
Cu 0.000 0.000 0.000
Cu 0.337 0.377 0.306
Cu 0.820 0.323 0.321
Cu 0.180 0.677 0.679
Cu 0.663 0.623 0.694
Cu 0.500 0.000 0.000
O 0.652 0.331 0.987
O 0.348 0.669 0.013
CELL_PARAMETERS angstrom
6.521 -2.919 -2.411
1.273 4.684 2.660
-0.302 -0.820 5.316
```


Entry 4:
Cu6OF11: relaxed, meta-GGA r2SCAN. Values from VASP.

Output
total energy = -135.50 eV for the cell shown
volume = 199.0 Å³/f.u.
space-group type = No. 1
offset from the most stable computed form = 0.09 eV per formula unit

```
&SYSTEM
  ibrav = 0, nat = 18, ntyp = 3
/
ATOMIC_SPECIES
F 19.00 F.upf
Cu 63.55 Cu.upf
O 16.00 O.upf
ATOMIC_POSITIONS crystal
F 0.979 0.383 0.839
F 0.216 0.242 0.464
F 0.892 0.931 0.793
F 0.100 0.074 0.210
F 0.032 0.619 0.164
F 0.440 0.413 0.873
F 0.640 0.057 0.167
F 0.357 0.953 0.833
F 0.312 0.718 0.503
F 0.680 0.275 0.498
F 0.571 0.599 0.125
Cu 0.671 0.680 0.341
Cu 0.326 0.334 0.666
Cu 0.666 0.669 0.821
Cu 0.999 0.004 0.998
Cu 0.334 0.338 0.170
Cu 0.981 0.985 0.498
O 0.805 0.725 0.539
CELL_PARAMETERS angstrom
5.547 -0.052 0.027
2.082 5.452 0.021
2.013 0.979 6.570
```


Entry 5:
Cu6OF11: relaxed, meta-GGA r2SCAN. Values from VASP.

Output
total energy = -135.51 eV for the cell shown
volume = 199.8 Å³/f.u.
space-group type = No. 1
offset from the most stable computed form = 0.07 eV per formula unit

```
&SYSTEM
  ibrav = 0, nat = 18, ntyp = 3
/
ATOMIC_SPECIES
F 19.00 F.upf
Cu 63.55 Cu.upf
O 16.00 O.upf
ATOMIC_POSITIONS crystal
F 0.323 0.324 0.285
F 0.512 0.813 0.224
F 0.664 0.316 0.302
F 0.159 0.180 0.766
F 0.344 0.695 0.718
F 0.821 0.187 0.783
F 0.839 0.804 0.219
F 0.174 0.818 0.211
F 0.986 0.294 0.264
F 0.681 0.692 0.723
F 0.492 0.199 0.792
Cu 0.843 0.510 0.508
Cu 0.998 0.982 0.964
Cu 0.502 0.505 0.506
Cu 0.331 0.012 0.001
Cu 0.161 0.513 0.501
Cu 0.669 0.003 0.012
O 0.001 0.652 0.722
CELL_PARAMETERS angstrom
9.697 -0.022 -0.135
-0.010 4.552 -0.047
0.540 -0.050 4.519
```


Entry 6:
Cu6OF11: relaxed, meta-GGA r2SCAN. Values from VASP.

Output
total energy = -135.53 eV for the cell shown